Finding Reasons

If before your viva you feel an abundance of nervousness, then you have to look a little and find reasons to feel confident. Confidence doesn’t eliminate nerves, but it does help to put those sorts of feelings into perspective. Nervousness recognises that something is important – confidence gives you the self-belief to know that things will be alright.

Look and find reasons. They could be reminding yourself of all the work you’ve done. They could be bound up in realising just how talented you are. Or you could focus on the process of the viva, what you need to do – what you can do – and what that means for you engaging with that process.

There are plenty of reasons to feel nervous about your viva. There are even more reasons to feel confident of success at your viva. Find them.

Finding Magic Feathers

In Dumbo, the little elephant with the big ears believes he can fly because of a magic feather.

## The piece is interrupted by materials data
Structure and simulated powder diffraction line list of Sm2AsSe (DFT lattice parameters and positions (PBE); Cu Ka).
Lines closer than 0.1° are merged.

Cell and atoms:
```
Sm2AsSe
1.0
4.194 0.000 0.000
0.000 4.194 0.000
0.000 0.000 5.927
Sm As Se
2 1 1
Direct
0.000 0.000 0.000
0.500 0.500 0.500
0.000 0.000 0.500
0.500 0.500 0.000
```

Most intense lines, 10° ≤ 2θ ≤ 90°, low angle first:
2θ 26.03, intensity 18, (1 0 1); 2θ 30.14, intensity 100, (1 1 0); 2θ 43.15, intensity 75, (2 0 0); 2θ 51.08, intensity 9, (2 1 1); 2θ 53.53, intensity 26, (2 0 2); 2θ 62.67, intensity 12, (2 2 0); 2θ 69.04, intensity 4, (3 0 1); 2θ 71.10, intensity 34, (3 1 0); 2θ 79.12, intensity 25, (3 1 2); 2θ 84.99, intensity 3, (3 2 1)

=====

For Tb7RuSe5, DFT lattice parameters and positions (GGA-PBE) gives the simulated X-ray diffraction stick pattern in this record (λ = 1.5418 Å (Cu Kα)).

Top 10 peaks for 2θ from 10° to 80°, in order of rising 2θ:
- 2θ = 28.61°, rel. 72.0
- 2θ = 30.28°, rel. 34.0
- 2θ = 30.94°, rel. 95.2
- 2θ = 31.99°, rel. 100.0
- 2θ = 40.64°, rel. 44.2
- 2θ = 43.82°, rel. 22.8
- 2θ = 44.24°, rel. 27.4
- 2θ = 44.58°, rel. 28.7
- 2θ = 45.84°, rel. 35.1
- 2θ = 54.92°, rel. 29.6

Structure:
abc: 3.959 13.508 24.621
angles: 90.00 90.00 90.00
Space group Cmc2_1 (No. 36)
Unique sites:
Tb 0.000 0.044 0.000
Tb 0.000 0.131 0.716
Tb 0.000 0.148 0.290
Tb 0.000 0.285 0.933
Tb 0.000 0.304 0.068
Tb 0.000 0.395 0.625
Tb 0.000 0.424 0.362
Ru 0.000 0.311 0.511
Se 0.000 0.048 0.610
Se 0.000 0.066 0.396
Se 0.000 0.212 0.824
Se 0.000 0.229 0.180
Se 0.000 0.488 0.749


For AcUPaO6, DFT lattice parameters and positions (GGA-PBE) gives the simulated X-ray diffraction stick pattern in this record (λ = 1.5418 Å (Cu Kα)).

Top 10 peaks for 2θ from 10° to 80°, in order of rising 2θ:
- 2θ = 25.38°, rel. 100.0
- 2θ = 29.67°, rel. 65.3
- 2θ = 35.30°, rel. 12.0
- 2θ = 39.43°, rel. 32.2
- 2θ = 48.87°, rel. 44.7
- 2θ = 50.11°, rel. 32.9
- 2θ = 52.65°, rel. 19.4
- 2θ = 66.70°, rel. 13.4
- 2θ = 67.73°, rel. 13.7
- 2θ = 74.67°, rel. 12.6

Structure:
abc: 6.0215 6.0215 9.4915
angles: 90.00 90.00 120.00
Space group P-31c (No. 163)
Unique sites:
Ac 0.3333 0.6667 0.2500
U 0.3333 0.6667 0.7500
Pa 0.0000 0.0000 0.0000
O 0.0404 0.3334 0.6244


For Tl3Cu2AgBr9, DFT lattice parameters and positions (GGA-PBE) gives the simulated X-ray diffraction stick pattern in this record (λ = 1.5418 Å (Cu Kα)).

Top 10 peaks for 2θ from 10° to 80°, in order of rising 2θ:
- 2θ = 24.03°, rel. 71.1
- 2θ = 29.44°, rel. 22.9
- 2θ = 29.58°, rel. 69.0
- 2θ = 34.25°, rel. 100.0
- 2θ = 42.32°, rel. 24.2
- 2θ = 49.12°, rel. 35.0
- 2θ = 49.31°, rel. 35.1
- 2θ = 58.50°, rel. 29.7
- 2θ = 61.41°, rel. 18.0
- 2θ = 72.15°, rel. 10.9

Structure:
abc: 7.3921 7.3921 9.1034
angles: 90.00 90.00 120.00
Space group P-3m1 (No. 164)
Unique sites:
Tl 0.0000 0.0000 0.0000
Tl 0.3333 0.6667 0.6720
Cu 0.3333 0.6667 0.1617
Ag 0.0000 0.0000 0.5000
Br 0.0000 0.5000 0.0000
Br 0.1713 0.3426 0.3241

He can’t, there’s no magic, but it’s enough to help him believe at least for a time – until he recognises that he doesn’t need them.

Do you have or need a magic feather? Magic feathers won’t make the difference to your viva success. You need skills, knowledge, work and and a thesis to help you succeed – but a magic feather might help how you feel about getting through the process.

It probably wouldn’t be a feather for you. Your magic feather could be a favourite song. Planning and doing your prep in a certain way. Wearing a favourite pair of socks or a special badge.

Your magic feather could be a routine, a belief, a placebo, a cup of coffee or dancing your nerves away. Whatever it is, it won’t make a difference to your success: it might make a difference to you. A magic feather can help you remember you’re good enough.

After twelve years of workshops and webinars and helping more than 7000 researchers through them, I still have my magic feathers to help me feel confident.

Find your magic feathers, let them help you on your way. If at some point you don’t need them that’s great. If you always do then remember they are a reminder of your talent and confidence, not the cause.

It’s Not Wrong To Be Nervous

Feeling nervous means you recognise that something is important. Humans feel nervous about all sorts of things, from weddings to wars, because they recognise that what is happening matters. They might be deeply involved or a bystander: if the outcome is important and they’re paying any attention then they might feel nervous.

Your viva is important. You, of course, are deeply involved. The outcome matters. Of course you might feel nervous, and if you do there is nothing wrong.

If you feel uncomfortable as a result then that’s not great, but that’s not the end of the story. You can talk to others to get help and put your feelings in perspective. You can reflect and help yourself to get things sorted out. You can work to build your confidence.

It’s not wrong to be nervous, but it might not be comfortable. If feeling nervous isn’t helping you then consider what else you can do to change how you feel.

The Wrong Thing

I can’t imagine what someone could say in the viva, without going to flippant extremes, that would be so wrong as to lead to a terrible outcome.

Wrong couldn’t be saying too little or too much; your examiners will help steer the conversation.

Wrong couldn’t simply be factual error – your examiners would rather check details than simply let an inaccuracy through.

Wrong couldn’t be the result of nerves: your examiners are human and would understand. They’d give you space to get past nerves.

# Crystal structures from another source follow
Entry 1:
Diffraction record for Sc4CdAsC2. The powder XRD pattern is theoretical, not measured: it uses a DFT-relaxed cell (GGA-PBE, OQMD) and Cu Kα (λ = 1.5418 Å).
Neutral-atom scattering factors, no anomalous dispersion.

Crystal structure
Unit cell a=3.356 b=3.356 c=14.343 alpha=90.00 beta=90.00 gamma=120.00
Positions (direct):
1 Sc 0.000 0.000 0.145
2 Sc 0.000 0.000 0.855
3 Sc 0.667 0.333 0.315
4 Sc 0.667 0.333 0.685
5 Cd 0.000 0.000 0.500
6 As 0.667 0.333 0.000
7 C 0.333 0.667 0.233
8 C 0.333 0.667 0.767

Most intense lines, 2θ = 5–70°, by angle:
| 2θ/deg | I/Imax |
| --- | --- |
| 12.34 | 14 |
| 30.76 | 23 |
| 31.40 | 12 |
| 33.26 | 13 |
| 36.17 | 100 |
| 37.63 | 14 |
| 49.36 | 13 |
| 54.69 | 22 |
| 67.34 | 14 |
| 68.29 | 14 |



Entry 2:
Diffraction record for ErSc3C2S2. The powder XRD pattern is theoretical, not measured: it uses a DFT-relaxed cell (GGA-PBE, OQMD) and Cu Kα (λ = 1.5418 Å).
Neutral-atom scattering factors, no anomalous dispersion.

Crystal structure
Unit cell a=3.505 b=3.505 c=12.154 alpha=90.00 beta=90.00 gamma=120.00
Positions (direct):
1 Er 0.000 0.000 0.000
2 Sc 0.000 0.000 0.699
3 Sc 0.333 0.667 0.211
4 Sc 0.333 0.667 0.499
5 C 0.667 0.333 0.110
6 C 0.667 0.333 0.599
7 S 0.000 0.000 0.355
8 S 0.333 0.667 0.843

Most intense lines, 2θ = 5–70°, by angle:
| 2θ/deg | I/Imax |
| --- | --- |
| 7.27 | 85 |
| 14.58 | 22 |
| 29.42 | 45 |
| 30.35 | 35 |
| 32.99 | 22 |
| 37.01 | 100 |
| 42.08 | 16 |
| 52.20 | 27 |
| 54.47 | 18 |
| 65.70 | 20 |



Entry 3:
Diffraction record for La3Zn22. The powder XRD pattern is theoretical, not measured: it uses a DFT-relaxed cell (GGA-PBE, OQMD) and Cu Kα (λ = 1.5418 Å).
Neutral-atom scattering factors, no anomalous dispersion.

Crystal structure
Unit cell a=12.394 b=12.394 c=12.394 alpha=137.75 beta=137.75 gamma=61.29
Positions (direct):
1 La 0.125 0.875 0.250
2 La 0.254 0.504 0.750
3 La 0.496 0.746 0.750
4 La 0.504 0.254 0.250
5 La 0.746 0.496 0.250
6 La 0.875 0.125 0.750
7 Zn 0.000 0.000 0.000
8 Zn 0.000 0.000 0.500
9 Zn 0.000 0.500 0.000
10 Zn 0.043 0.319 0.239
11 Zn 0.043 0.804 0.724
12 Zn 0.116 0.220 0.603
13 Zn 0.116 0.513 0.897
14 Zn 0.138 0.737 0.401
15 Zn 0.148 0.623 0.525
16 Zn 0.164 0.263 0.901
17 Zn 0.196 0.421 0.239
18 Zn 0.196 0.957 0.776
19 Zn 0.220 0.116 0.103
20 Zn 0.263 0.164 0.401
21 Zn 0.263 0.862 0.099
22 Zn 0.319 0.043 0.739
23 Zn 0.319 0.579 0.276
24 Zn 0.377 0.402 0.525
25 Zn 0.377 0.852 0.975
26 Zn 0.402 0.377 0.025
27 Zn 0.421 0.196 0.739
28 Zn 0.421 0.681 0.224
29 Zn 0.487 0.884 0.603
30 Zn 0.500 0.000 0.500
31 Zn 0.513 0.116 0.397
32 Zn 0.579 0.319 0.776
33 Zn 0.579 0.804 0.261
34 Zn 0.598 0.623 0.975
35 Zn 0.623 0.148 0.025
36 Zn 0.623 0.598 0.475
37 Zn 0.681 0.421 0.724
38 Zn 0.681 0.957 0.261
39 Zn 0.737 0.138 0.901
40 Zn 0.737 0.836 0.599
41 Zn 0.780 0.884 0.897
42 Zn 0.804 0.043 0.224
43 Zn 0.804 0.579 0.761
44 Zn 0.836 0.737 0.099
45 Zn 0.852 0.377 0.475
46 Zn 0.862 0.263 0.599
47 Zn 0.884 0.487 0.103
48 Zn 0.884 0.780 0.397
49 Zn 0.957 0.196 0.276
# Here the page continues

Wrong couldn’t be simply saying “I don’t know” – that wouldn’t be wrong, that would just be not knowing something.

It would be wrong to be arrogant, it would be wrong to pick a fight, it would be wrong to assume that you know what’s what for everything connected to the viva!

But would you do that?

If you are worried, consider what you could do to lessen those worries. If you’re nervous, explore how to build your confidence.

And if you’re still worried about being wrong, remember that it’s far more likely that you would say the right thing than the wrong in your viva.

The Most Challenging Question

I think there are two possibilities for most challenging question a candidate could be asked in their viva.

First, the opening question of the viva. Not knowing what that opener is until it’s asked could make it very challenging. You’ll probably respond to it well, but the anticipation might make it feel tough.

The other possibility for most challenging is whatever question you really don’t want to be asked. Whatever it is, whatever part of your thesis or research, if there’s something you really don’t want to talk about there’s likely to be significant challenges in your mind when it comes to responding.

To help prepare for the first question: remember that your examiners want your viva to go well. They want to help with that by helping you to start well. The first question is likely to be simple stated and reflective – something to get you talking about your work.

To help prepare for the question you don’t want: ask others to ask you it. Prepare. Make notes. Talk about it. Talk about why you don’t want it and invest time in talking about the thing that you don’t want. Hoping you won’t be asked is not enough. Invest time in getting better at talking about it.

You will be asked a first question; you might not be asked about the topic you really don’t want to talk about. Either way, a little prep for both will help you face the challenges of your viva.

Failing In Advance

My hero Seth Godin describes anxiety as “failing in advance”.

In seminars I would estimate at least a third of candidates I ask describe themselves as nervous, anxious or worried about their chances of viva success – with anxiety being very common – even though the vast majority of vivas result in the candidate passing.

If you had anxiety about your viva, what could you do to help yourself?

  • Find out more about the process: having more certainty could help you to see you have what you need to succeed.
  • Remember that you don’t have to have a viva, you get to have a viva: it’s at the end of a process that you have continued through for a long time.
  • Invest a little time in getting ready: perfection isn’t needed but you can be prepared.

## Attached: crystal structures
/*
Diffraction record for LiCoF3. The powder X-ray diffraction pattern is theoretical, not measured: it uses a GGA+U-relaxed structure and Cu Kα, 1.54184 Å.
Kinematic intensities with the Lorentz-polarization factor, no thermal factor.

The 8 most intense peaks (10 to 90 degrees two-theta), by angle:
two_theta, d (Å), Rel. int., hkl
23.22, 3.831, 100, 1 0 1
31.09, 2.877, 38, 0 1 2
34.96, 2.567, 15, 1 1 0
42.60, 2.122, 14, 2 -1 2
47.47, 1.915, 18, 2 0 2
50.82, 1.797, 46, 2 -1 3
56.07, 1.640, 14, 2 1 1
62.69, 1.482, 18, 3 0 0

Cell and atoms:
abc: 5.1337 5.1337 7.5474
angles: 90.00 90.00 120.00
Space group P3 (No. 143)
One atom of each set of equivalent atoms:
Li: 0.0000 0.0000 0.0000
Li: 0.0000 0.0000 0.3136
Li: 0.3333 0.6667 0.9186
Co: 0.0000 0.0000 0.6506
Co: 0.3333 0.6667 0.3307
Co: 0.6667 0.3333 0.0001
F: 0.0165 0.3419 0.1425
F: 0.0312 0.7131 0.4737
F: 0.3169 0.3002 0.8464

Diffraction record for LiCoF3. The powder X-ray diffraction pattern is theoretical, not measured: it uses a GGA+U-relaxed structure and Cu Kα, 1.54184 Å.
Kinematic intensities with the Lorentz-polarization factor, no thermal factor.

The 8 most intense peaks (10 to 90 degrees two-theta), by angle:
two_theta, d (Å), Rel. int., hkl
23.16, 3.841, 50, 0 1 1
23.31, 3.816, 100, 1 1 -1
30.99, 2.886, 19, 1 1 2
31.12, 2.874, 38, 1 0 -2
42.51, 2.127, 25, 2 0 -1
50.64, 1.803, 23, 1 2 3
50.94, 1.793, 25, 1 -1 3
62.98, 1.476, 17, 3 0 0

Cell and atoms:
abc: 5.1079 5.1198 7.5688
angles: 89.55 89.79 60.12
Space group P1 (No. 1)
One atom of each set of equivalent atoms:
Li: 0.0000 0.0000 0.0000
Li: 0.0059 0.0056 0.6876
Li: 0.3393 0.3383 0.6052
Co: 0.3322 0.3383 0.0197
Co: 0.6694 0.6734 0.6869
Co: 0.9988 0.0078 0.3375
F: 0.0198 0.3268 0.8326
F: 0.0378 0.6869 0.1602
F: 0.2803 0.0334 0.1578
F: 0.3213 0.9908 0.5322
F: 0.3244 0.6645 0.8318
F: 0.6627 0.0225 0.8309
F: 0.6838 0.2789 0.1582
F: 0.7054 0.3228 0.5327
F: 0.9910 0.7062 0.5324

Diffraction record for LiCoNiF6. The powder X-ray diffraction pattern is theoretical, not measured: it uses a GGA+U-relaxed structure and Cu Kα, 1.54184 Å.
Kinematic intensities with the Lorentz-polarization factor, no thermal factor.

The 8 most intense peaks (10 to 90 degrees two-theta), by angle:
two_theta, d (Å), Rel. int., hkl
19.61, 4.527, 22, 0 0 2
21.29, 4.173, 59, 1 0 1
26.81, 3.325, 100, 1 1 0
35.34, 2.540, 40, 1 0 3
40.36, 2.235, 32, 1 1 3
53.07, 1.726, 67, 2 1 3
55.25, 1.663, 23, 2 2 0
67.31, 1.391, 28, 3 0 3

Cell and atoms:
abc: 4.7028 4.7028 9.0541
angles: 90.00 90.00 90.00
Space group P4_2nm (No. 102)
One atom of each set of equivalent atoms:
Li: 0.0000 0.0000 0.0000
Co: 0.0000 0.0000 0.3329
Ni: 0.0000 0.0000 0.6706
F: 0.1926 0.1926 0.4932
F: 0.1949 0.1949 0.1755
F: 0.2047 0.2047 0.8333

=====

Record 1
CsGeI3: simulated powder X-ray diffraction pattern (Cu Kα (λ = 1.5418 Å)), based on a DFT-relaxed cell (GGA-PBE, the Materials Project).
Intensities are scaled so that the largest is 100.

Principal peaks in the range 10° ≤ 2θ ≤ 90°, low angle first:
*/

A little work can help lessen or remove anxiety. A little work is also what will help you to feel ready for success at the viva.

Nerves In Perspective

PhD candidates are generally nervous about the viva. In my experience, most will feel a portion of nervousness at some point before they meet their examiners. Some will continue to feel it during their viva too.

I don’t know that a person can ever completely overcome a feeling of nervousness, but I’m convinced that they could learn to put them into perspective:

  • The viva is important, so it’s natural to be nervous about it.
  • You may be nervous about it, but it’s only going to be for a few hours. Then it’s done.
  • Most people pass – and pass well – so however nervous you feel, the outcome is most likely going to be good.

Nervousness isn’t always rational. You can feel nervous and be confident for success at the same time. Try to focus on what you need to do, so that you can do well.

For the viva particularly, remember that those nervous few hours come after thousands of hours of work on your part. Remember that, and those thousands of hours might help you see that those few hours in the viva are going to be fine.

How Will You Feel?

I ask “How do you feel?” a lot.

By my records I’ve asked this question in seminars and webinars at least 300 times, to over 5000 PhD candidates. It’s good to reflect on in a seminar but that’s one moment, weeks or possibly months before the viva.

I can’t ask the title of this post because it would be impossible to answer well! Who knows how you will feel on the days leading up to your viva, or in the moments before it. It’s helpful to reflect on how you might feel though, because however you feel, now or later, there is always something positive you can do to help for the viva.

  • If you felt worried: you could ask someone you trust for advice.
  • If you felt unprepared: you could make a plan and help steer yourself closer to ready.
  • If you felt great: fantastic! Now, what could you do to really hold on to that feeling?

However you feel now, there’s something you can do to help yourself. However you might feel in the time leading to the viva, there will be something you can do to help yourself. Reflect, then decide on what you’ll do to help.

Little Reminders

On Thursday March 19th 2020 I was nervous. The next day I was going to deliver my first Viva Survivor webinar. Lockdown hadn’t started but you could tell it was coming. I knew I would need to move my work to Zoom, so decided to go early. Thankfully, my clients were happy to accept my proposal.

Still, the webinar had been rushed together in three days. I knew the material but had lots of worries about the tech, the pacing and so on. Would it all work? Were my slides OK? I didn’t do slides when I presented!

My daughter, who had just started home schooling, asked me what was wrong, and so I tried to explain. She listened and gave me a hug and wandered off.

The next morning, a few hours before I was to begin, I was nervous but practising my introduction when there was a knock at my office door. My daughter was stood there, with a smile and a gift:

My little friend!

“This is for you Daddy – this is you! You’re going to be fine today. He’s smiling and you can too.”

“Little Nathan,” as I’ve come to call him, has joined me on every webinar since. He makes me smile, and tends to make participants smile too, but more importantly he is a reminder of what I can do and how I want to be when working.

You can’t have Little Nathan, but you can make your own reminders. What will help you remember your talent? What could remind you of your confidence?

What could help you to smile on the day of your viva?